-- Data --
********
Structure and theoretical X-ray diffraction stick pattern of CsMnGaF6 (a structure optimized by DFT (PBE+U); Cu Ka).
Neutral-atom scattering factors, no anomalous dispersion.

Peak list (10 most intense, 10° ≤ 2θ ≤ 90°, in order of rising 2θ)
hkl 0 2 0, d 3.784, 23.51 deg, rel. 18; hkl 1 1 2, d 3.769, 23.61 deg, rel. 33; hkl 2 1 1, d 3.222, 27.69 deg, rel. 100; hkl 0 1 3, d 3.207, 27.82 deg, rel. 49; hkl 0 2 2, d 3.081, 28.99 deg, rel. 29; hkl 0 3 3, d 2.057, 44.03 deg, rel. 29; hkl 3 0 3, d 2.051, 44.16 deg, rel. 10; hkl 4 0 0, d 1.885, 48.28 deg, rel. 48; hkl 0 3 5, d 1.626, 56.59 deg, rel. 13; hkl 4 3 3, d 1.390, 67.35 deg, rel. 16

Crystal structure
Unit cell a=7.548 b=7.576 c=10.624 alpha=90.00 beta=90.00 gamma=90.00
Space group Imma (No. 74)
Unique sites:
Cs: 0.000 0.250 0.123 [4 per cell]
Mn: 0.000 0.000 0.500 [4 per cell]
Ga: 0.250 0.250 0.750 [4 per cell]
F: 0.000 0.250 0.415 [4 per cell]
F: 0.000 0.250 0.800 [4 per cell]
F: 0.212 0.071 0.627 [16 per cell]



Structure and theoretical X-ray diffraction stick pattern of CsGaNiF6 (a structure optimized by DFT (PBE+U); Cu Ka).
Neutral-atom scattering factors, no anomalous dispersion.

Peak list (10 most intense, 10° ≤ 2θ ≤ 90°, in order of rising 2θ)
hkl 1 1 1, d 3.769, 23.60 deg, rel. 100; hkl 0 0 2, d 3.270, 27.27 deg, rel. 11; hkl 2 0 0, d 2.666, 33.62 deg, rel. 11; hkl 1 3 0, d 2.662, 33.67 deg, rel. 14; hkl 2 2 1, d 2.174, 41.54 deg, rel. 10; hkl 2 0 -2, d 2.067, 43.79 deg, rel. 17; hkl 1 3 2, d 2.063, 43.88 deg, rel. 23; hkl 0 2 3, d 1.971, 46.05 deg, rel. 12; hkl 1 5 1, d 1.684, 54.49 deg, rel. 15; hkl 3 3 0, d 1.538, 60.16 deg, rel. 8

Crystal structure
Unit cell a=5.330 b=9.219 c=6.540 alpha=90.00 beta=90.15 gamma=90.00
Space group C2 (No. 5)
Unique sites:
Cs: 0.000 0.000 0.000 [2 per cell]
Ga: 0.000 0.333 0.500 [2 per cell]
Ni: 0.000 0.667 0.500 [2 per cell]
F: 0.118 0.493 0.667 [4 per cell]
F: 0.181 0.195 0.667 [4 per cell]
F: 0.203 0.812 0.667 [4 per cell]
********

-- Work order --
Now give back everything further above exactly.

-- Solution --
Structure and theoretical X-ray diffraction stick pattern of CsMnGaF6 (a structure optimized by DFT (PBE+U); Cu Ka).
Neutral-atom scattering factors, no anomalous dispersion.

Peak list (10 most intense, 10° ≤ 2θ ≤ 90°, in order of rising 2θ)
hkl 0 2 0, d 3.784, 23.51 deg, rel. 18; hkl 1 1 2, d 3.769, 23.61 deg, rel. 33; hkl 2 1 1, d 3.222, 27.69 deg, rel. 100; hkl 0 1 3, d 3.207, 27.82 deg, rel. 49; hkl 0 2 2, d 3.081, 28.99 deg, rel. 29; hkl 0 3 3, d 2.057, 44.03 deg, rel. 29; hkl 3 0 3, d 2.051, 44.16 deg, rel. 10; hkl 4 0 0, d 1.885, 48.28 deg, rel. 48; hkl 0 3 5, d 1.626, 56.59 deg, rel. 13; hkl 4 3 3, d 1.390, 67.35 deg, rel. 16

Crystal structure
Unit cell a=7.548 b=7.576 c=10.624 alpha=90.00 beta=90.00 gamma=90.00
Space group Imma (No. 74)
Unique sites:
Cs: 0.000 0.250 0.123 [4 per cell]
Mn: 0.000 0.000 0.500 [4 per cell]
Ga: 0.250 0.250 0.750 [4 per cell]
F: 0.000 0.250 0.415 [4 per cell]
F: 0.000 0.250 0.800 [4 per cell]
F: 0.212 0.071 0.627 [16 per cell]



Structure and theoretical X-ray diffraction stick pattern of CsGaNiF6 (a structure optimized by DFT (PBE+U); Cu Ka).
Neutral-atom scattering factors, no anomalous dispersion.

Peak list (10 most intense, 10° ≤ 2θ ≤ 90°, in order of rising 2θ)
hkl 1 1 1, d 3.769, 23.60 deg, rel. 100; hkl 0 0 2, d 3.270, 27.27 deg, rel. 11; hkl 2 0 0, d 2.666, 33.62 deg, rel. 11; hkl 1 3 0, d 2.662, 33.67 deg, rel. 14; hkl 2 2 1, d 2.174, 41.54 deg, rel. 10; hkl 2 0 -2, d 2.067, 43.79 deg, rel. 17; hkl 1 3 2, d 2.063, 43.88 deg, rel. 23; hkl 0 2 3, d 1.971, 46.05 deg, rel. 12; hkl 1 5 1, d 1.684, 54.49 deg, rel. 15; hkl 3 3 0, d 1.538, 60.16 deg, rel. 8

Crystal structure
Unit cell a=5.330 b=9.219 c=6.540 alpha=90.00 beta=90.15 gamma=90.00
Space group C2 (No. 5)
Unique sites:
Cs: 0.000 0.000 0.000 [2 per cell]
Ga: 0.000 0.333 0.500 [2 per cell]
Ni: 0.000 0.667 0.500 [2 per cell]
F: 0.118 0.493 0.667 [4 per cell]
F: 0.181 0.195 0.667 [4 per cell]
F: 0.203 0.812 0.667 [4 per cell]